Page 5 of Deviant Desires
I adjust my tie in the mirror and ignore him. “No one asked you, Luc. Don’t you have City Hall shit to do?”
Next to the article, the page also holds records of molecules.
=====
C4H10O | wB97M-V/def2-TZVPD

CARTESIAN COORDINATES (ANGSTROEM)
C 2.461 -0.470 0.228
C 0.994 -0.653 0.619
C 0.080 0.287 -0.175
C -1.387 0.052 0.143
O -2.248 0.737 -0.761
H 2.617 -0.490 -0.848
H 3.098 -1.236 0.666
H 2.806 0.487 0.612
H 0.640 -1.686 0.556
H 0.929 -0.371 1.675
H 0.327 1.316 0.092
H 0.211 0.083 -1.234
H -1.588 0.381 1.159
H -1.642 -1.010 0.044
H -1.835 1.581 -0.988

Calculated values
- E_HOMO: -10.2043 eV
- LUMO level: 1.08 eV
- Energy above the lowest of the compared OMol25 structures with the same formula, charge and spin: 9.2 kcal per mole
- Total energy: -6357.4052 eV
- SMILES string: CCCCO

=====

This record from OMol25 describes a cluster of 7 separate species, C15H40Cl2FNO8S in total at a distorted geometry. The level of theory is the ωB97M-V functional and the def2-TZVPD basis.

XYZ file:
```
68
C15H40Cl2FNO8S the ωB97M-V functional and the def2-TZVPD basis
C -0.9773 0.6769 -3.0242
C -1.5045 -0.6300 -2.5098
Cl -3.2105 -0.7170 -2.3815
C -0.7228 -1.6377 -2.1080
Cl -1.3852 -3.0500 -1.3686
N 0.6999 -1.6151 -2.1384
S 1.4081 -2.1996 -3.4968
O 0.8205 -3.4464 -3.8225
O 2.8101 -2.0506 -3.3323
F 0.9881 -1.2110 -4.6207
H -0.5876 0.5663 -4.0271
H -0.2002 1.0421 -2.3636
H -1.7717 1.4035 -3.0786
H 1.0971 -0.7164 -1.8407
C -2.2600 -0.7470 2.2336
C -2.4891 0.4495 1.3273
O -1.4344 0.6000 0.3812
H -1.3121 -0.6452 2.7641
H -3.0632 -0.8434 2.9662
H -2.2133 -1.6699 1.6484
H -2.5184 1.3716 1.9057
H -3.4421 0.3495 0.7967
H -1.4067 -0.2075 -0.1406
C 4.9755 -0.2452 -0.4276
C 3.6646 -0.0999 0.3203
O 2.5464 -0.4036 -0.5225
H 4.9925 0.4118 -1.2979
H 5.8189 0.0037 0.2174
H 5.1049 -1.2675 -0.7893
H 3.5311 0.9223 0.6642
H 3.6424 -0.7559 1.1946
H 2.6462 -1.3132 -0.8239
C -0.7052 -6.2402 2.3370
C -0.6981 -4.7945 1.8756
O -1.9373 -4.4200 1.2781
H -0.9159 -6.9041 1.4985
H 0.2561 -6.5182 2.7712
H -1.4813 -6.4021 3.0888
H 0.0647 -4.6403 1.1140
H -0.4801 -4.1253 2.7153
H -2.6288 -4.5326 1.9353
C 4.7168 4.0630 -0.4692
C 3.4199 4.3196 0.2766
O 2.2819 3.9885 -0.5177
H 4.7443 4.6408 -1.3935
H 5.5816 4.3328 0.1392
H 4.8024 3.0070 -0.7384
H 3.3281 5.3753 0.5288
H 3.3969 3.7415 1.2022
H 2.3381 3.0540 -0.7353
C -8.4073 0.6873 -3.0394
C -6.9563 1.0492 -3.2977
O -6.0760 0.4121 -2.3742
H -8.6913 0.9622 -2.0234
H -9.0699 1.1982 -3.7392
H -8.5610 -0.3892 -3.1446
H -6.8027 2.1198 -3.1758
H -6.6710 0.7793 -4.3201
H -6.1912 -0.5371 -2.4730
C 2.7765 2.5576 5.1501
C 3.3972 2.9470 3.8218
O 3.3217 1.8936 2.8629
H 3.2721 1.6756 5.5561
H 2.8569 3.3695 5.8738
H 1.7194 2.3124 5.0242
H 4.4545 3.1747 3.9468
H 2.9041 3.8361 3.4151
H 2.3934 1.6813 2.7249
```

HOMO energy = -9.4 eV
net charge = 0
orbital gap = 9.9 eV
total energy = -2670.55120 Eh
E_LUMO = 0.6 eV

=====

ORCA calculation (wB97M-V/def2-TZVPD) on a molecular structure, C34H86N6O13S2 at a distorted geometry.

Each line ends with the Löwdin charge.
Geometry (Å):
C  -7.644080  1.122399  -2.710366  -0.14
C  -6.048624  1.507512  -2.665653  -0.24
C  -5.569823  2.170365  -1.207215  -0.18
C  -3.962022  2.473087  -1.314363  -0.22
=====
So much for the records of molecules.
Luca snorts as he throws himself on my bed. Wrinkles shoot through his suit and leave him looking ruffled. “Not today, big brother.”
“Did someone call me?” Raniero walks through the door adjusting his own tie. “Hey, by the way, how long are we staying? I promised Calliope that I’d put Gabe to bed tonight. She needs a bubble bath and—” he stops talking when he realizes everyone in the room is staring at him with a look of disgust on their faces. “What?” He glares back at us. “Forgive me for having better things to do.”
Our little voice of reason and the youngest of the Valenti brothers, Cesare, reminds Raniero why we’re all attending the dean’s retirement party. “The family donated enough money to K-State to get a building named after us. You helped Dean Simon’s granddaughter get into Yale,” he points out, “I think that our presence is sort of a necessity.”
I should have just asked everyone to meet there. Having all this testosterone in my house is driving me nuts.
“Okay, but does anyone agree thatheshouldn’t go?” Luca points at me from the bed and I seriously consider walking over and punching him in the face.
The room goes quiet as all eyes turn from Raniero to me. Even the quietest of the guys, Stefano, looks at me curiously. “What?” I glare at them through the mirror. “I’m part of this family, too.” As I turn on my heel to meet their gaze directly, everyone starts talking all at once.
“Yeah, but you had that whole prison thing.” Cesare.
“Don’t forget this is Bambi’s college department.” Raniero.
“You’re sort of the black sheep of the family.” Luca.
“Yeah, but aren’t you the white sheep?” Cesare talking to Luca.
“This is about his dumb ass, not me.” Luca talking to Cesare.
“Can you even handle seeing her again?” Stefano.
I’m not easily overwhelmed, but Iameasily frustrated. “Stop, okay,” I raise my hands to draw attention to myself, “just stop. Yes, I fucked up a few years ago and killed a dude. Mind you, that was on Raniero’s orders, so don’t fucking put all of this on me.”
Raniero steps in to quietly add, “I didn’t say kill him in front of your fiancé though.”
I turn my head slowly to pierce my older brother with my eyes. If I could, I’d burn a hole through his chest. “You fucking hypocrite. Aren’t we all breaking the same fucking laws?” Before anyone can respond, I take jabs at them all. “You kidnapped the police chief’sdaughter. So don’t talk to me about committing a crime in secret. You fucking kidnapped her and then had a photographer take fake ass photos of the two of you having the time of your life so the city would think she was fine. You had Sampson going to her fucking apartment and making it sound lived in. So don’t preach all high and mighty about committing the right sort of crimes because I can think of at least six charges you should go to jail on.”
Silence. You’d think I dropped a bomb in the room. But I turn on Luca and read him to filth next. “You want to share with the class how you’ve been quietly changing city laws to benefit the family? How there’s suspiciously $150,000 of the Manhattan budget being spent on road repairs and I fucked up my car on Tuttle Creek Boulevardjust yesterday?” I hit a pothole and damn near popped my tire. It’s been slowly leaking air ever since and I’m going to have to go to Firestone in the next few days to get a replacement. “And don’t even get me started on the two of you,” I glare at Stefano and Cesare.
They’re the youngest of the Valenti boys at 33 and 32, respectively, but they’re no less innocent than the rest of us. Stefano almost got caught tampering with a jury on a case for a friend and Cesare has been casually ruining a woman’s life in order to convince her that he’s the only man that can protect her.
“We are all fucked up, okay. We’re Valentis, for Christ’s sake. I’m just the unlucky son of a bitch that got put behind bars for it. But make no mistake,” I warn them, “you fuckers aren’t innocent just because you haven’t been caught.”
Nobody tells me what to do, not when I’m a free man. You can ask for my help, but you can’t force me to help you. I am my own person. And tonight I’m going to the Dean’s retirement party. I don’t care what my brothers say.
I’ve spent two years lying in wait to get my hands on Bambi. I’m not backing down today.
“So are we driving together or what?” Raniero clears his throat and changes the subject.
Everyone groans. “I don’t want to ride in your Tesla,” Luca announces for all of us. “There’s no legroom when a guy wants to stretch out and take a nap.”
Raniero wrinkles his nose. “Good. I don’t want you sleeping in my Tesla. I just want to go home to my wife and baby.”
“Yeah, yeah,” Cesare waves, “we know. Is this what we’re all going to turn into when we’re married? Sappy dads that just want to stay at home and never do anything fun?”
“Speak for yourself,” I tell them. “The only person I want calling medaddyis Bambi. I want her to call me daddy when I’m hittin’ it just right from the back and—”
Luca rolls off the bed and interrupts me in the middle of my sentence. “Enough, Mat. We get it. Christ, you’re disgusting.”
That’s what he says, but we’ve all heard stories about Luca’s sexual conquests. He’s no better than me. We all like a little spice in our lives. Who doesn’t?